- Учителю
- Сценарий детского праздника на английском языке 4 класс
Сценарий детского праздника на английском языке 4 класс
Сценарий детского праздника, посвященный зиме.
Winter Forest
Зал украшен «зимними» кустами и деревьями. До начала праздника играет музыка. Музыка смолкает, входит ведущий- учитель.
Good morning, children! We are very glad to greet you here. We know, that you like winter forest and those who live in it. But today you'll visit the fairy Kingdom and meet Her Majesty Queen of the Winter forest. Somebody will help us. How do you think who is that?
When She comes,
It becomes cold.
Everything becomes white,
All the lakes and over
Are covered with ice.
Дети отгадывают:
It is Winter!
Входит Зима (Winter Fairy)
Winter Fairy:
Good morning, children!
Good morning, guests!
You are welcome to the Kingdom of Winter Forest! It is very nice in
winter forest. Trees are dressed in white. It is silently. You can meet here only squirrels , hares, foxes, wolves and tomtits. How beautiful is winter forest picture!
Not so many people can see Her Majesty Queen of the Winter Forest. But you will meet her. She is not an old Lady, she is very young and gay.
( Под звуки музыки выходит царица Зимнего Леса)
Her Majesty Queen of the Winter Forest:
Good morning, good morning!
Glad to see you!
You are welcome to my Kingdom! There is silence and peace in my Kingdom! But my friends are fond of holiday. Let's call them! Guess, please, who are my friends!
She is red,
With red, bushy, tail,
She is cunning!
Who is it? ( A fox)
( Под музыку выходит Лиса)
The fox:
Good morning, Glad to see everybody!
The Queen:
He is very kind, hard working
He is covered with needles.
Do you hear him! Who is it?( A hedgehog)
Выбегает ежик
The Queen:
All the hedgehogs are sleeping in winter, but our friend decided to visit our holiday! Hello, my friend!
The hedgehog:
Hello, everybody! Am I late?
The Queen:
No, you are not late!
Please, you are welcome!
The Queen:
There is not a bird in a tree,
It is a small animal.
It has warm fir-coat.
Who is it? ( A Squirrel)
Под музыку выбегает белка)
The Squirrel:
Hello! I am very glad to see you here in our winter forest!
Our holiday should be very gay!
The Hedgehog:
Somebody is very cold. Soon I think it will be warm, and even very hot!
The Fox:
Somebody thinks. It is boring. I hope it will be very gay.
( Дети становятся в круг, поют песни, танцуют)
The Queen:
Thank you, dear friend! I see, that you are not afraid of the frost!
The Squirrel:
I have got a game. There is a word in my hands. The word is «Snowflakes». You should make a new words from these letters! The winner is who says the last word.
Дети придумывают новые слова. Кто скажет слово последним, тот и победитель.
The Hedgehog:
And I want to listen to the poems about the winter, winter forest.
About the ice
Slide, slide, the ice is strong,
Quickly, quickly slide along!
Slide along and don't be slow,
In the cold your face will glow!
Slide along, slide very fast,
It's a shame to be the last.
{"formula": "C51H51N4O2P2S2Y", "method": "wB97M-V/def2-TZVPD", "species": ["Y", "C", "H", "H", "C", "H", "C", "H", "C", "H", "C", "N", "C", "H", "H", "C", "H", "H", "H", "C", "C", "C", "C", "H", "H", "C", "H", "H", "H", "C", "C", "O", "C", "C", "H", "C", "C", "H", "H", "H", "C", "H", "C", "H", "C", "C", "H", "C", "N", "C", "C", "N", "N", "H", "P", "C", "H", "H", "C", "H", "C", "C", "H", "C", "C", "S", "H", "C", "C", "H", "C", "S", "H", "H", "C", "H", "H", "C", "C", "C", "H", "H", "H", "H", "C", "C", "C", "C", "H", "H", "H", "H", "H", "C", "H", "O", "H", "H", "H", "H", "C", "H", "C", "C", "C", "P", "H", "C", "H", "C", "C", "H", "C"], "coordinates": [[-0.05450, -0.16955, -0.12427], [-3.38116, 0.77772, 5.14786], [-2.77023, -5.00719, 2.76781], [4.32585, -3.73900, -1.11475], [-3.71215, -3.37845, 1.05921], [3.44463, 0.33866, -0.01068], [1.26580, -0.28065, -3.64938], [5.50595, -3.46068, 0.17939], [1.27331, 2.10039, -4.51200], [1.97840, 2.92861, -4.58916], [-0.26012, -5.36055, 0.53094], [1.86616, 1.53963, -0.56106], [-2.06791, 2.55107, -0.67251], [-1.97375, 1.25633, 3.59214], [-2.75665, 1.81650, -0.27879], [3.36925, 0.79343, -4.08484], [1.13053, -6.99607, 0.48247], [0.42566, -2.60728, -2.26941], [-7.36937, -4.11044, 2.12352], [-1.34989, -4.77379, 1.17053], [0.44072, -2.40269, 3.83476], [-0.27280, -7.18924, 2.09203], [4.17452, 2.15068, -0.85452], [4.61433, -2.10558, -0.49972], [0.65171, -3.08642, -3.93657], [3.32401, -1.49075, -3.40259], [1.54239, -5.59904, 4.04554], [5.92419, -1.03402, -4.58611], [-1.96806, -2.80448, 4.94474], [1.43256, -4.55330, 4.30390], [3.82435, 3.35250, -1.40097], [-0.98788, 0.15406, -4.33305], [-1.37726, -6.62775, 2.72539], [0.61711, -3.74055, 3.51905], [3.06837, -5.41744, 0.20323], [-1.85061, -0.79907, 4.16644], [1.51714, 2.75407, -1.06014], [1.39244, -3.26037, 0.87816], [2.42705, -2.26186, 6.58233], [4.26066, -5.26815, 1.50552], [1.97651, 0.84652, -4.06434], [3.84332, -2.41865, -3.18661], [1.17977, -2.74284, -3.04428], [4.65685, -3.08497, 2.59381], [3.78605, -2.63172, 2.11837], [1.93449, -1.47438, -3.35054], [-3.78137, 1.78186, 5.20153], [5.56436, -0.40273, -3.77108], [2.00581, -1.57922, 0.04155], [-6.34845, -3.90625, 1.82652], [2.46613, 3.68597, -1.50913], [-0.78977, 2.23164, -0.62184], [2.14190, -2.98552, 0.24732], [-1.94745, 5.60692, -2.10652], [-1.97775, -3.17662, 0.48441], [2.04521, 4.94364, -2.05559], [2.54003, -5.06936, 1.85444], [4.57471, 4.05478, -1.74340], [-4.51923, -4.22195, 0.29937], [2.95846, -2.66281, 2.83137], [0.11417, 3.10952, -1.10723], [-2.35686, -1.79363, 5.00152], [-5.96188, -2.57501, 3.46688], [0.73844, 5.25681, -2.12836], [3.15697, 1.28161, -0.45173], [-2.42257, -0.40221, 0.85759], [-3.75397, -2.28289, 6.54875], [1.91891, -2.68294, 5.72472], [3.31998, -4.87675, 1.11606], [-3.59796, 3.95529, -1.21866], [-5.82553, -4.49157, 0.68168], [0.57239, 0.39249, 2.59899], [1.86195, -3.52938, -2.72317], [0.13994, -8.12483, 2.44812], [-1.62918, 4.66025, -1.68776], [2.71377, -4.65819, 6.01908], [2.39553, -1.06670, 0.83817], [-3.88161, -0.21568, 5.97752], [-2.53561, 3.76081, -1.20256], [4.06035, -0.35880, -3.74306], [4.04461, -1.58490, 1.93585], [0.98782, -0.83232, 5.20043], [0.80576, 1.94628, -5.48481], [-6.43679, -5.15224, 0.08002], [2.08275, -4.02840, 5.40526], [-2.36883, 0.48850, 4.24429], [-0.23143, -0.15555, -3.43866], [-4.25185, -2.78448, 2.19523], [5.20671, 1.85349, -0.73739], [2.80532, 5.62846, -2.40939], [0.46654, 2.38660, -3.83636], [0.11810, -4.17350, 2.66769], [-4.67044, 0.01386, 6.68235], [4.53500, -3.15869, -0.21588], [-1.82186, -7.12562, 3.57792], [-0.56751, -0.37319, -2.19839], [0.17044, -4.87437, -0.33863], [5.97092, -0.81393, -2.84461], [0.41470, 6.20148, -2.54658], [2.52475, -1.34774, -0.80628], [-5.55908, -3.04730, 2.57913], [-3.64854, -2.09890, 2.77480], [0.28224, -6.55610, 0.99181], [-3.36816, -1.50369, 5.90417], [-0.25917, 4.34864, -1.64499], [-0.60928, -1.23644, 2.90817], [5.98468, 0.59273, -3.91534], [-1.29429, -1.74845, 1.38400], [3.92377, 1.67803, -4.38241], [1.10457, -1.87946, 4.94944], [-1.91005, -5.43509, 2.26718], [-4.12075, -4.67581, -0.60201], [3.44602, -3.38648, 0.82793]], "lowdin_charge": [1.029, -0.076, 0.106, 0.080, -0.421, 0.090, -0.066, 0.090, -0.025, 0.075, -0.134, 0.081, -0.105, 0.074, 0.048, -0.021, 0.099, 0.056, 0.096, -0.400, -0.353, -0.092, -0.027, 0.065, 0.098, -0.026, 0.102, 0.083, 0.110, -0.082, 0.004, 0.090, -0.079, -0.093, 0.083, -0.365, -0.138, 0.078, 0.104, 0.093, -0.199, 0.110, -0.032, 0.093, -0.026, -0.218, 0.102, -0.050, -0.050, -0.099, -0.144, 0.059, -0.018, 0.122, 0.951, -0.020, 0.056, 0.125, -0.110, 0.064, -0.149, -0.098, 0.100, -0.014, -0.111, 0.448, 0.103, -0.074, -0.037, 0.114, -0.093, 0.255, 0.070, 0.102, 0.006, 0.103, 0.022, -0.086, -0.015, -0.275, 0.075, 0.093, 0.094, 0.098, -0.079, -0.111, -0.585, -0.121, 0.115, 0.118, 0.073, 0.060, 0.101, -0.043, 0.105, -0.206, 0.090, 0.071, 0.119, 0.056, -0.080, 0.061, -0.099, -0.083, -0.144, 0.468, 0.072, -1.137, 0.114, -0.113, -0.093, 0.101, -0.604], "gap_ha": 0.219, "max_force_ev_per_a": 0.683, "e_homo_ev": -6.71, "e_lumo_ev": -0.7, "energy_ev": -105068.442}
This is a season
When mornings are dark
And birds do not sing
In the woods and the park.
This is the season when children ski
And Farther Christmas
Brings the New Year Tree.
It's snowing
It's snowing, it's snowing.
What a lot of snow!
Let us make some snow balls.
We all, like to throw.
It's snowing, it's snowing.
Let us sledge and ski!
When I'm dashing down to the hill
Clear the way for me!
The snowman:
Come to the garden
And play in the snow,
Make a white snowman
And help him to grow!
"What a nice snowman!"
The children will say
"What a fine game
For a cold winter day".
The fox:
If somebody knows songs about winter, please sing!
Дети поют.
Winter Fairy:
Thank you, children! But I have a surprise for you. There is a magic tree in the forest. There are a lot of sweets in the tree all year round. We have such big sweets. They are not simple. If you eat the sweet, you should do the action, which is described on the sweet' paper. Who wants to eat the sweet?
Дети, взяв конфету из корзинки Зимы, читают задание на фантике, едят конфету и выполняют действия. Проводится игра.
The Queen:
Thank you , Winter Fairy! Are there a lot of sweets in your bag?
Winter Fairy:
Yes, of course!
The Queen:
Now, let's play a new game. Children, please, come here. Take these snowflakes (детям раздают кусочки ваты). You are to blow! (Дуя на кусочки ваты, надо как можно дольше удержать их в воздухе).
Let's begin.
Проводится игра. Звучит тревожная музыка, выбегает перепуганный заяц и бегает по залу.
Winter Fairy:
Dear Hare. What's the matter? What has happened with you?
Заяц останавливается. От страха не может сказать ни слова.
The Queen:
Probably, you the fox, frighten the Hare?
The Fox:
I saw him only yesterday! No!
The Hare:
No, it's not she!
Winter Fairy:
Than who? Is there a wolf in our forest?
The Hare:
No! But there is a monster!
Все хором:
A monster?
The Hare:
Yes, of course. It is very big and dangerous!
The Queen:
You are mistaken, my dear! Where is the monster in our forest? Probably, you saw a dream?
The Hare:
A dream? Do you hear?
(Слышится рычание. Оно все ближе и ближе. Выбегает взъерошенный медведь. Заяц от страха прячется за ведущего учителя)
The Teacher:
This is a bear. And you thought, it was a monster!
Медведь останавливается. Жалобное рычание.
The Нare:
All the bears are sleeping now! And he is running in the forest.
The Queen:
He needs our help! Somebody has awaked him, and he can't fall asleep.
Winter Fairy:
We should help him. But how to do it?
The Queen:
And we'll ask the children. Who knows how to help our bear?
Все хором:
To sing a song!
Дети поют песню. Медведь трет глаза и уходит со сцены. Доносится храп.
The Queen:
Now, our bear is sleeping. It is very good, when you have a real friend, who can help you.
Winter Fairy:
I hope that everybody will remember our party, our forest and our games. Good bye!